<<<
No. 1
Simulated powder diffraction line list of Mg15Cd2Hg2 for CuKα, from a GGA-PBE-relaxed structure.
Kinematic intensities with the Lorentz-polarization factor, no thermal factor.

Crystal structure
a = 7.8276 Å, b = 7.8276 Å, c = 7.8276 Å
α = 80.03°, β = 80.03°, γ = 80.03°
Fractional coordinates of all 19 atoms:
Mg 0.0000 0.0000 0.5000
Mg 0.0000 0.3275 0.6725
Mg 0.0000 0.5000 0.0000
Mg 0.0000 0.6725 0.3275
Mg 0.1619 0.6634 0.6634
Mg 0.3275 0.0000 0.6725
Mg 0.3275 0.6725 0.0000
Mg 0.3366 0.3366 0.8381
Mg 0.3366 0.8381 0.3366
Mg 0.5000 0.0000 0.0000
Mg 0.6634 0.1619 0.6634
Mg 0.6634 0.6634 0.1619
Mg 0.6725 0.0000 0.3275
Mg 0.6725 0.3275 0.0000
Mg 0.8381 0.3366 0.3366
Cd 0.3195 0.3195 0.3195
Cd 0.6805 0.6805 0.6805
Hg 0.0999 0.0999 0.0999
Hg 0.9001 0.9001 0.9001

Main lines, sorted by position (10 to 90 degrees two-theta):
2θ/deg  intensity
11.6  57
17.6  100
24.8  26
30.2  42
30.8  60
35.2  32
35.7  50
39.6  42

=====

No. 2
Simulated powder diffraction line list of MgCd6Hg3 for CuKα, from a GGA-PBE-relaxed structure.
Kinematic intensities with the Lorentz-polarization factor, no thermal factor.

Crystal structure
a = 5.4746 Å, b = 8.6376 Å, c = 10.4237 Å
α = 105.37°, β = 96.33°, γ = 99.25°
Fractional coordinates of all 20 atoms:
Mg 0.2340 0.0545 0.2034
Mg 0.7660 0.9455 0.7966
Cd 0.2202 0.2397 0.9929
Cd 0.2498 0.6567 0.5973
Cd 0.2584 0.0411 0.6994
Cd 0.2585 0.2634 0.5151
Cd 0.2713 0.6549 0.1083
Cd 0.2778 0.8566 0.9082
Cd 0.7222 0.1434 0.0918
Cd 0.7287 0.3451 0.8917
Cd 0.7415 0.7366 0.4849
Cd 0.7416 0.9589 0.3006
Cd 0.7502 0.3433 0.4027
Cd 0.7798 0.7603 0.0071
Hg 0.2432 0.4583 0.8090
Hg 0.2425 0.8617 0.3959
Hg 0.2471 0.4299 0.2947
Hg 0.7529 0.5701 0.7053
Hg 0.7575 0.1383 0.6041
Hg 0.7568 0.5417 0.1910

Main lines, sorted by position (10 to 90 degrees two-theta):
2θ/deg  intensity
32.2  100
33.6  89
35.1  80
37.0  70
38.5  61
40.3  53
41.3  50
52.6  23

=====

No. 3
Simulated powder diffraction line list of MgCd14Hg for CuKα, from a GGA-PBE-relaxed structure.
Kinematic intensities with the Lorentz-polarization factor, no thermal factor.

Crystal structure
a = 11.0365 Å, b = 6.2251 Å, c = 6.2251 Å
α = 57.60°, β = 90.00°, γ = 90.00°
Fractional coordinates of all 16 atoms:
Mg 0.0000 0.0000 0.0000
Cd 0.0000 0.5007 0.9965
Cd 0.0000 0.9965 0.5007
Cd 0.2445 0.1825 0.1825
Cd 0.2494 0.1841 0.6836
Cd 0.2494 0.6836 0.1841
Cd 0.2522 0.6848 0.6848
Cd 0.5000 0.3827 0.8854
Cd 0.5000 0.3839 0.3839
Cd 0.5000 0.8838 0.8838
Cd 0.5000 0.8854 0.3827
Cd 0.7478 0.6848 0.6848
Cd 0.7506 0.1841 0.6836
Cd 0.7506 0.6836 0.1841
Cd 0.7555 0.1825 0.1825
Hg 0.0000 0.4961 0.4961

Main lines, sorted by position (10 to 90 degrees two-theta):
2θ/deg  intensity
32.4  49
32.8  16
33.9  21
35.1  17
36.8  14
37.9  100
41.2  13
61.5  23

=====

No. 4
Simulated powder diffraction line list of Mg2Cd5Hg2 for CuKα, from a GGA-PBE-relaxed structure.
Kinematic intensities with the Lorentz-polarization factor, no thermal factor.

Crystal structure
a = 9.6700 Å, b = 9.6700 Å, c = 5.1954 Å
α = 105.30°, β = 105.30°, γ = 65.04°
Fractional coordinates of all 18 atoms:
Mg 0.0000 0.0000 0.0000
Mg 0.2543 0.2460 0.3330
Mg 0.5000 0.5000 0.5000
Mg 0.7540 0.7457 0.6670
Cd 0.0040 0.4959 0.9990
Cd 0.1050 0.5965 0.5987
Cd 0.2041 0.6996 0.1998
Cd 0.3004 0.7959 0.8002
Cd 0.4035 0.8950 0.4013
Cd 0.5041 0.9960 0.0010
Cd 0.6048 0.0967 0.6019
Cd 0.7012 0.2026 0.2022
Cd 0.7974 0.2988 0.7978
Cd 0.9033 0.3952 0.3981
Hg 0.1342 0.1289 0.6957
Hg 0.3684 0.3631 0.9341
Hg 0.6369 0.6316 0.0659
Hg 0.8711 0.8658 0.3043

Main lines, sorted by position (10 to 90 degrees two-theta):
2θ/deg  intensity
19.1  74
28.7  34
30.0  47
30.1  41
34.5  99
37.9  69
38.1  74
38.8  100

~~~~~

The following is a simulated powder X-ray diffraction pattern of Ba2Ga10Sn. It was derived from a crystal structure in Alexandria, relaxed with PBE, using Cu Kα (weighted mean of Kα1 and Kα2).
Peak positions follow from Bragg's law for the DFT cell and can differ from measured ones.
>>>

Count the lines earlier on that contain the word "deg" and give the number alone.

4